~~~
[1]
DFT (PBE-GGA) results for crystalline Er4Si2S3O7 at its relaxed geometry.

```
Er4Si2S3O7
1.0
-5.790 5.790 6.735
5.790 -5.790 6.735
5.790 5.790 -6.735
Er Si S O
16 8 12 28
Cartesian
2.003 -0.892 1.684
9.577 -0.892 1.684
5.790 0.177 2.144
2.003 4.898 -1.684
3.787 -0.892 5.051
3.072 2.895 1.223
8.509 2.895 1.223
0.000 0.177 4.590
5.790 5.614 2.144
-2.718 2.895 5.512
2.718 2.895 5.512
2.003 6.682 1.684
3.787 0.892 8.418
0.000 5.614 4.590
-3.787 6.682 5.051
3.787 6.682 5.051
4.343 2.895 -2.083
7.237 2.895 -2.083
0.000 1.448 1.284
0.000 4.342 1.284
5.790 1.448 5.451
5.790 4.342 5.451
-1.447 2.895 8.818
1.447 2.895 8.818
4.108 0.000 0.000
7.472 0.000 0.000
5.790 -2.895 5.051
2.895 7.004 -3.367
2.895 1.213 3.367
5.790 2.895 1.684
4.108 5.790 0.000
1.682 0.000 6.735
0.000 2.895 5.051
-2.895 4.577 3.367
2.895 4.577 3.367
0.000 8.685 1.684
4.156 -1.447 2.818
7.424 -1.447 2.818
1.448 1.261 0.550
10.132 1.261 0.550
5.790 2.895 -1.331
4.156 4.343 -2.818
1.634 -1.447 3.917
3.076 2.895 -1.030
8.504 2.895 -1.030
0.000 0.181 2.338
5.790 0.181 4.397
0.000 2.895 2.037
1.448 4.529 0.550
4.342 -1.261 7.284
1.448 7.051 -0.550
4.342 1.261 6.185
5.790 2.895 4.698
0.000 5.609 2.338
5.790 5.609 4.397
-2.714 2.895 7.764
2.714 2.895 7.764
4.156 7.237 2.818
1.634 1.447 9.553
0.000 2.895 8.066
-4.342 4.529 6.185
4.342 4.529 6.185
-1.634 7.237 3.917
1.634 7.237 3.917
```

Computed properties:
SG: I4_1/amd, No. 141

[2]
DFT (PBE-GGA) results for crystalline Nb4Al3Mo2N3 at its relaxed geometry.

```
Nb4Al3Mo2N3
1.0
4.474 -2.579 0.000
4.474 2.579 0.000
-2.973 0.000 14.270
Nb Al Mo N
8 6 4 6
Cartesian
0.749 0.439 1.355
0.752 0.429 5.778
-0.738 -0.439 8.490
-0.735 -0.429 12.913
6.709 0.429 1.357
6.712 0.439 5.780
5.222 -0.429 8.492
5.226 -0.439 12.915
3.730 2.051 3.567
0.847 0.365 10.697
2.333 -0.365 3.562
3.641 0.365 10.707
5.128 -0.365 3.572
2.244 -2.051 10.702
3.738 0.430 1.351
3.723 0.430 5.784
2.251 -0.430 8.485
2.237 -0.430 12.919
2.237 1.289 0.000
2.237 1.293 7.135
5.224 1.293 0.000
0.750 -1.289 7.135
3.724 -1.293 0.000
3.737 -1.293 7.135
```

Computed properties:
SG: C2/c, No. 15

[3]
DFT (PBE-GGA) results for crystalline LaZnInSe3 at its relaxed geometry.

```
LaZnInSe3
1.0
8.548 0.000 0.000
0.000 4.430 0.000
0.000 0.000 16.842
La Zn In Se
4 4 4 12
Cartesian
2.105 1.107 0.790
2.169 3.322 9.210
6.379 1.107 7.631
6.443 3.322 16.052
1.208 1.107 6.051
3.066 3.322 14.472
5.482 1.107 2.370
7.340 3.322 10.791
0.621 1.107 13.203
3.653 3.322 4.782
4.896 1.107 12.060
7.927 3.322 3.639
8.544 1.107 10.020
0.004 3.322 6.822
1.074 3.322 15.930
1.644 1.107 3.663
2.630 3.322 12.084
3.200 1.107 7.509
4.270 1.107 15.242
4.278 3.322 1.599
5.349 3.322 9.332
5.918 1.107 4.758
6.904 3.322 13.179
7.474 1.107 0.911
```

Computed properties:
Polymorph energy (0 for the lowest one): 61 meV/atom
SG: Pnma, No. 62

[4]
DFT (PBE-GGA) results for crystalline HfSi2Bi at its relaxed geometry.

```
HfSi2Bi
1.0
0.000 3.483 3.483
3.483 0.000 3.483
3.483 3.483 0.000
Hf Si Bi
1 2 1
Cartesian
0.000 0.000 0.000
1.741 1.741 1.741
3.483 3.483 3.483
5.224 5.224 5.224
```

Computed properties:
SG: F-43m, No. 216

Calculated final energy (eV per atom), listed in the same order as above: -7.619; -8.727; -4.286; -5.667


#A
Density functional theory data (PBE) for crystalline Fe15Co at its relaxed geometry.

Its space group is Pm-3m. The crystal system is cubic.

The structure in CIF format:
```
data_Fe15Co
_chemical_formula_sum 'Fe15 Co1'
_cell_length_a 5.680
_cell_length_b 5.680
_cell_length_c 5.680
_cell_angle_alpha 90.00
_cell_angle_beta 90.00
_cell_angle_gamma 90.00
_space_group_name_H-M_alt 'P 1'
_space_group_IT_number 1
loop_
_space_group_symop_operation_xyz
'x,y,z'
loop_
_atom_site_label
_atom_site_type_symbol
_atom_site_fract_x
_atom_site_fract_y
_atom_site_fract_z
Fe1 Fe 0.000 0.000 0.000
Fe2 Fe 0.000 0.000 0.500
Fe3 Fe 0.000 0.500 0.000
Fe4 Fe 0.000 0.500 0.500
Fe5 Fe 0.251 0.251 0.251
Fe6 Fe 0.251 0.251 0.749
Fe7 Fe 0.251 0.749 0.251
Fe8 Fe 0.251 0.749 0.749
Fe9 Fe 0.500 0.000 0.000
~~~

What is needed: copy the whole of the material above with every line break kept.

[1]
DFT (PBE-GGA) results for crystalline Er4Si2S3O7 at its relaxed geometry.

```
Er4Si2S3O7
1.0
-5.790 5.790 6.735
5.790 -5.790 6.735
5.790 5.790 -6.735
Er Si S O
16 8 12 28
Cartesian
2.003 -0.892 1.684
9.577 -0.892 1.684
5.790 0.177 2.144
2.003 4.898 -1.684
3.787 -0.892 5.051
3.072 2.895 1.223
8.509 2.895 1.223
0.000 0.177 4.590
5.790 5.614 2.144
-2.718 2.895 5.512
2.718 2.895 5.512
2.003 6.682 1.684
3.787 0.892 8.418
0.000 5.614 4.590
-3.787 6.682 5.051
3.787 6.682 5.051
4.343 2.895 -2.083
7.237 2.895 -2.083
0.000 1.448 1.284
0.000 4.342 1.284
5.790 1.448 5.451
5.790 4.342 5.451
-1.447 2.895 8.818
1.447 2.895 8.818
4.108 0.000 0.000
7.472 0.000 0.000
5.790 -2.895 5.051
2.895 7.004 -3.367
2.895 1.213 3.367
5.790 2.895 1.684
4.108 5.790 0.000
1.682 0.000 6.735
0.000 2.895 5.051
-2.895 4.577 3.367
2.895 4.577 3.367
0.000 8.685 1.684
4.156 -1.447 2.818
7.424 -1.447 2.818
1.448 1.261 0.550
10.132 1.261 0.550
5.790 2.895 -1.331
4.156 4.343 -2.818
1.634 -1.447 3.917
3.076 2.895 -1.030
8.504 2.895 -1.030
0.000 0.181 2.338
5.790 0.181 4.397
0.000 2.895 2.037
1.448 4.529 0.550
4.342 -1.261 7.284
1.448 7.051 -0.550
4.342 1.261 6.185
5.790 2.895 4.698
0.000 5.609 2.338
5.790 5.609 4.397
-2.714 2.895 7.764
2.714 2.895 7.764
4.156 7.237 2.818
1.634 1.447 9.553
0.000 2.895 8.066
-4.342 4.529 6.185
4.342 4.529 6.185
-1.634 7.237 3.917
1.634 7.237 3.917
```

Computed properties:
SG: I4_1/amd, No. 141

[2]
DFT (PBE-GGA) results for crystalline Nb4Al3Mo2N3 at its relaxed geometry.

```
Nb4Al3Mo2N3
1.0
4.474 -2.579 0.000
4.474 2.579 0.000
-2.973 0.000 14.270
Nb Al Mo N
8 6 4 6
Cartesian
0.749 0.439 1.355
0.752 0.429 5.778
-0.738 -0.439 8.490
-0.735 -0.429 12.913
6.709 0.429 1.357
6.712 0.439 5.780
5.222 -0.429 8.492
5.226 -0.439 12.915
3.730 2.051 3.567
0.847 0.365 10.697
2.333 -0.365 3.562
3.641 0.365 10.707
5.128 -0.365 3.572
2.244 -2.051 10.702
3.738 0.430 1.351
3.723 0.430 5.784
2.251 -0.430 8.485
2.237 -0.430 12.919
2.237 1.289 0.000
2.237 1.293 7.135
5.224 1.293 0.000
0.750 -1.289 7.135
3.724 -1.293 0.000
3.737 -1.293 7.135
```

Computed properties:
SG: C2/c, No. 15

[3]
DFT (PBE-GGA) results for crystalline LaZnInSe3 at its relaxed geometry.

```
LaZnInSe3
1.0
8.548 0.000 0.000
0.000 4.430 0.000
0.000 0.000 16.842
La Zn In Se
4 4 4 12
Cartesian
2.105 1.107 0.790
2.169 3.322 9.210
6.379 1.107 7.631
6.443 3.322 16.052
1.208 1.107 6.051
3.066 3.322 14.472
5.482 1.107 2.370
7.340 3.322 10.791
0.621 1.107 13.203
3.653 3.322 4.782
4.896 1.107 12.060
7.927 3.322 3.639
8.544 1.107 10.020
0.004 3.322 6.822
1.074 3.322 15.930
1.644 1.107 3.663
2.630 3.322 12.084
3.200 1.107 7.509
4.270 1.107 15.242
4.278 3.322 1.599
5.349 3.322 9.332
5.918 1.107 4.758
6.904 3.322 13.179
7.474 1.107 0.911
```

Computed properties:
Polymorph energy (0 for the lowest one): 61 meV/atom
SG: Pnma, No. 62

[4]
DFT (PBE-GGA) results for crystalline HfSi2Bi at its relaxed geometry.

```
HfSi2Bi
1.0
0.000 3.483 3.483
3.483 0.000 3.483
3.483 3.483 0.000
Hf Si Bi
1 2 1
Cartesian
0.000 0.000 0.000
1.741 1.741 1.741
3.483 3.483 3.483
5.224 5.224 5.224
```

Computed properties:
SG: F-43m, No. 216

Calculated final energy (eV per atom), listed in the same order as above: -7.619; -8.727; -4.286; -5.667


#A
Density functional theory data (PBE) for crystalline Fe15Co at its relaxed geometry.

Its space group is Pm-3m. The crystal system is cubic.

The structure in CIF format:
```
data_Fe15Co
_chemical_formula_sum 'Fe15 Co1'
_cell_length_a 5.680
_cell_length_b 5.680
_cell_length_c 5.680
_cell_angle_alpha 90.00
_cell_angle_beta 90.00
_cell_angle_gamma 90.00
_space_group_name_H-M_alt 'P 1'
_space_group_IT_number 1
loop_
_space_group_symop_operation_xyz
'x,y,z'
loop_
_atom_site_label
_atom_site_type_symbol
_atom_site_fract_x
_atom_site_fract_y
_atom_site_fract_z
Fe1 Fe 0.000 0.000 0.000
Fe2 Fe 0.000 0.000 0.500
Fe3 Fe 0.000 0.500 0.000
Fe4 Fe 0.000 0.500 0.500
Fe5 Fe 0.251 0.251 0.251
Fe6 Fe 0.251 0.251 0.749
Fe7 Fe 0.251 0.749 0.251
Fe8 Fe 0.251 0.749 0.749
Fe9 Fe 0.500 0.000 0.000